== Work order ==
Restate the contents below character by character.

== Data ==
********
Material: Cs2KAgF6
Method: DFT, PBE
State: optimized geometry

Cell and atoms, written as POSCAR:
```
Cs2KAgF6
1.0
4.7789 2.0626 4.1419
3.1620 -4.3843 3.8764
6.3540 -1.5433 -1.2213
F Cs K Ag
6 2 1 1
Cartesian
9.3313 -0.5891 3.1366
8.4453 -4.1217 2.9912
5.8496 0.2566 3.8058
7.5822 -2.1458 5.9300
4.9636 -3.2760 3.6604
6.7127 -1.7193 0.8670
3.5737 -0.9663 1.6992
10.7212 -2.8988 5.0977
7.1474 -1.9325 3.3985
0.0000 0.0000 0.0000
```

E_form ... -2317 kJ/mol of formula units
Magnetization ... 2.00 μB per formula unit
Raw total energy ... -3.8460 eV per atom

~~~~~

Entry 1:
DFT (PBE) results for crystalline HfSi2 at its relaxed geometry.

Unit cell a=3.660 b=3.698 c=7.498 alpha=75.72 beta=90.00 gamma=90.00
Element x y z (fractional)
Hf: 0.750 0.895 0.210
Hf: 0.250 0.105 0.790
Si: 0.750 0.555 0.891
Si: 0.250 0.445 0.109
Si: 0.750 0.250 0.499
Si: 0.250 0.750 0.501

## Properties
Symmetry: Cmcm (63)
Energy (eV/cell): -45.0

---

Entry 2:
DFT (PBE) results for crystalline BaGaCu2 at its relaxed geometry.

Unit cell a=6.235 b=6.235 c=6.235 alpha=40.53 beta=40.53 gamma=40.53
Element x y z (fractional)
Ba: 0.000 0.000 0.000
Ga: 0.500 0.500 0.500
Cu: 0.812 0.812 0.812
Cu: 0.188 0.188 0.188

## Properties
Symmetry: R-3m (166)
Energy (eV/cell): -14.0

---

Entry 3:
DFT (PBE) results for crystalline AlSi2O6 at its relaxed geometry.

Unit cell a=12.129 b=12.129 c=12.129 alpha=108.91 beta=108.91 gamma=110.60
Element x y z (fractional)
Al: 0.581 0.919 0.000
Al: 0.419 0.419 0.339
Al: 0.669 0.831 0.500
Al: 0.831 0.331 0.161
Al: 0.081 0.081 0.661
Al: 0.919 0.581 0.000
Al: 0.169 0.669 0.839
Al: 0.331 0.169 0.500
Si: 0.409 0.624 0.969
Si: 0.155 0.124 0.215
Si: 0.374 0.659 0.469
Si: 0.690 0.159 0.285
Si: 0.841 0.126 0.531
Si: 0.095 0.626 0.285
Si: 0.876 0.091 0.031
Si: 0.560 0.591 0.215
Si: 0.909 0.940 0.785
Si: 0.655 0.440 0.031
Si: 0.874 0.405 0.715
Si: 0.190 0.905 0.531
Si: 0.341 0.810 0.715
Si: 0.595 0.310 0.469
Si: 0.376 0.345 0.785
Si: 0.060 0.845 0.969
O: 0.516 0.754 0.974
O: 0.280 0.254 0.238
O: 0.504 0.766 0.474
O: 0.792 0.266 0.262
O: 0.734 0.996 0.526
O: 0.970 0.496 0.262
O: 0.746 0.984 0.026
O: 0.458 0.484 0.238
O: 0.016 0.042 0.762
O: 0.780 0.542 0.026
O: 0.004 0.530 0.738
O: 0.292 0.030 0.526
O: 0.234 0.708 0.738
O: 0.470 0.208 0.474
O: 0.246 0.220 0.762
O: 0.958 0.720 0.974
O: 0.272 0.631 0.940
O: 0.190 0.131 0.359
O: 0.381 0.522 0.440
O: 0.582 0.022 0.141
O: 0.978 0.119 0.560
O: 0.060 0.619 0.141
O: 0.869 0.228 0.060
O: 0.668 0.728 0.359
O: 0.772 0.832 0.641
O: 0.690 0.332 0.060
O: 0.881 0.440 0.859
O: 0.082 0.940 0.560
O: 0.478 0.918 0.859
O: 0.560 0.418 0.440
O: 0.369 0.310 0.641
O: 0.168 0.810 0.940
O: 0.475 0.627 0.111
O: 0.016 0.127 0.152
O: 0.377 0.725 0.611
O: 0.614 0.225 0.348
O: 0.775 0.123 0.389
O: 0.234 0.623 0.348
O: 0.873 0.025 0.889
O: 0.636 0.525 0.152
O: 0.975 0.864 0.848
O: 0.516 0.364 0.889
O: 0.877 0.266 0.652
O: 0.114 0.766 0.389
O: 0.275 0.886 0.652
O: 0.734 0.386 0.611
O: 0.373 0.484 0.848
O: 0.136 0.984 0.111

## Properties
Energy above the most stable polymorph in this dataset (meV per atom): 39.7
Symmetry: I4_1/acd (142)
Energy (eV/cell): -537.7

---

Entry 4:
DFT (PBE) results for crystalline MgAl2Sb2 at its relaxed geometry.

Unit cell a=4.604 b=4.604 c=7.086 alpha=90.00 beta=90.00 gamma=120.00
Element x y z (fractional)
Mg: 0.000 0.000 0.000
Al: 0.667 0.333 0.371
Al: 0.333 0.667 0.629
Sb: 0.667 0.333 0.770
Sb: 0.333 0.667 0.230

## Properties
Symmetry: P-3m1 (164)
Energy (eV/cell): -17.2

---

Entry 5:
DFT (PBE) results for crystalline ErCo4B4 at its relaxed geometry.

Unit cell a=5.001 b=5.001 c=6.967 alpha=90.00 beta=90.00 gamma=90.00
Element x y z (fractional)
Er: 0.750 0.250 0.250
Er: 0.250 0.750 0.750
Co: 0.004 0.750 0.112
Co: 0.496 0.750 0.112
Co: 0.750 0.004 0.612
Co: 0.750 0.496 0.612
Co: 0.996 0.250 0.888
Co: 0.504 0.250 0.888
Co: 0.250 0.996 0.388
Co: 0.250 0.504 0.388
********

== Written answer ==
Material: Cs2KAgF6
Method: DFT, PBE
State: optimized geometry

Cell and atoms, written as POSCAR:
```
Cs2KAgF6
1.0
4.7789 2.0626 4.1419
3.1620 -4.3843 3.8764
6.3540 -1.5433 -1.2213
F Cs K Ag
6 2 1 1
Cartesian
9.3313 -0.5891 3.1366
8.4453 -4.1217 2.9912
5.8496 0.2566 3.8058
7.5822 -2.1458 5.9300
4.9636 -3.2760 3.6604
6.7127 -1.7193 0.8670
3.5737 -0.9663 1.6992
10.7212 -2.8988 5.0977
7.1474 -1.9325 3.3985
0.0000 0.0000 0.0000
```

E_form ... -2317 kJ/mol of formula units
Magnetization ... 2.00 μB per formula unit
Raw total energy ... -3.8460 eV per atom

~~~~~

Entry 1:
DFT (PBE) results for crystalline HfSi2 at its relaxed geometry.

Unit cell a=3.660 b=3.698 c=7.498 alpha=75.72 beta=90.00 gamma=90.00
Element x y z (fractional)
Hf: 0.750 0.895 0.210
Hf: 0.250 0.105 0.790
Si: 0.750 0.555 0.891
Si: 0.250 0.445 0.109
Si: 0.750 0.250 0.499
Si: 0.250 0.750 0.501

## Properties
Symmetry: Cmcm (63)
Energy (eV/cell): -45.0

---

Entry 2:
DFT (PBE) results for crystalline BaGaCu2 at its relaxed geometry.

Unit cell a=6.235 b=6.235 c=6.235 alpha=40.53 beta=40.53 gamma=40.53
Element x y z (fractional)
Ba: 0.000 0.000 0.000
Ga: 0.500 0.500 0.500
Cu: 0.812 0.812 0.812
Cu: 0.188 0.188 0.188

## Properties
Symmetry: R-3m (166)
Energy (eV/cell): -14.0

---

Entry 3:
DFT (PBE) results for crystalline AlSi2O6 at its relaxed geometry.

Unit cell a=12.129 b=12.129 c=12.129 alpha=108.91 beta=108.91 gamma=110.60
Element x y z (fractional)
Al: 0.581 0.919 0.000
Al: 0.419 0.419 0.339
Al: 0.669 0.831 0.500
Al: 0.831 0.331 0.161
Al: 0.081 0.081 0.661
Al: 0.919 0.581 0.000
Al: 0.169 0.669 0.839
Al: 0.331 0.169 0.500
Si: 0.409 0.624 0.969
Si: 0.155 0.124 0.215
Si: 0.374 0.659 0.469
Si: 0.690 0.159 0.285
Si: 0.841 0.126 0.531
Si: 0.095 0.626 0.285
Si: 0.876 0.091 0.031
Si: 0.560 0.591 0.215
Si: 0.909 0.940 0.785
Si: 0.655 0.440 0.031
Si: 0.874 0.405 0.715
Si: 0.190 0.905 0.531
Si: 0.341 0.810 0.715
Si: 0.595 0.310 0.469
Si: 0.376 0.345 0.785
Si: 0.060 0.845 0.969
O: 0.516 0.754 0.974
O: 0.280 0.254 0.238
O: 0.504 0.766 0.474
O: 0.792 0.266 0.262
O: 0.734 0.996 0.526
O: 0.970 0.496 0.262
O: 0.746 0.984 0.026
O: 0.458 0.484 0.238
O: 0.016 0.042 0.762
O: 0.780 0.542 0.026
O: 0.004 0.530 0.738
O: 0.292 0.030 0.526
O: 0.234 0.708 0.738
O: 0.470 0.208 0.474
O: 0.246 0.220 0.762
O: 0.958 0.720 0.974
O: 0.272 0.631 0.940
O: 0.190 0.131 0.359
O: 0.381 0.522 0.440
O: 0.582 0.022 0.141
O: 0.978 0.119 0.560
O: 0.060 0.619 0.141
O: 0.869 0.228 0.060
O: 0.668 0.728 0.359
O: 0.772 0.832 0.641
O: 0.690 0.332 0.060
O: 0.881 0.440 0.859
O: 0.082 0.940 0.560
O: 0.478 0.918 0.859
O: 0.560 0.418 0.440
O: 0.369 0.310 0.641
O: 0.168 0.810 0.940
O: 0.475 0.627 0.111
O: 0.016 0.127 0.152
O: 0.377 0.725 0.611
O: 0.614 0.225 0.348
O: 0.775 0.123 0.389
O: 0.234 0.623 0.348
O: 0.873 0.025 0.889
O: 0.636 0.525 0.152
O: 0.975 0.864 0.848
O: 0.516 0.364 0.889
O: 0.877 0.266 0.652
O: 0.114 0.766 0.389
O: 0.275 0.886 0.652
O: 0.734 0.386 0.611
O: 0.373 0.484 0.848
O: 0.136 0.984 0.111

## Properties
Energy above the most stable polymorph in this dataset (meV per atom): 39.7
Symmetry: I4_1/acd (142)
Energy (eV/cell): -537.7

---

Entry 4:
DFT (PBE) results for crystalline MgAl2Sb2 at its relaxed geometry.

Unit cell a=4.604 b=4.604 c=7.086 alpha=90.00 beta=90.00 gamma=120.00
Element x y z (fractional)
Mg: 0.000 0.000 0.000
Al: 0.667 0.333 0.371
Al: 0.333 0.667 0.629
Sb: 0.667 0.333 0.770
Sb: 0.333 0.667 0.230

## Properties
Symmetry: P-3m1 (164)
Energy (eV/cell): -17.2

---

Entry 5:
DFT (PBE) results for crystalline ErCo4B4 at its relaxed geometry.

Unit cell a=5.001 b=5.001 c=6.967 alpha=90.00 beta=90.00 gamma=90.00
Element x y z (fractional)
Er: 0.750 0.250 0.250
Er: 0.250 0.750 0.750
Co: 0.004 0.750 0.112
Co: 0.496 0.750 0.112
Co: 0.750 0.004 0.612
Co: 0.750 0.496 0.612
Co: 0.996 0.250 0.888
Co: 0.504 0.250 0.888
Co: 0.250 0.996 0.388
Co: 0.250 0.504 0.388